# Input
┌──
(1)
Structure and computed XRD peak list of NaSiP2 (DFT lattice parameters and positions (PBE); Cu Kα, 1.54184 Å).

Largest 12 diffraction maxima, by intensity, 10° ≤ 2θ ≤ 90°:
- hkl 2 0 1, d 2.779, I 100
- hkl 0 0 2, d 2.957, I 98
- hkl 1 2 1, d 3.199, I 55
- hkl 3 2 1, d 1.827, I 52
- hkl 1 2 3, d 1.750, I 49
- hkl 1 2 0, d 3.804, I 44
- hkl 0 4 0, d 2.387, I 43
- hkl 0 1 1, d 5.027, I 39
- hkl 1 3 1, d 2.560, I 38
- hkl 1 1 0, d 5.257, I 34
- hkl 2 0 0, d 3.149, I 34
- hkl 0 4 2, d 1.857, I 27

Cell and atoms:
a = 6.2974 Å, b = 9.5473 Å, c = 5.9130 Å
α = 90.00°, β = 90.00°, γ = 90.00°
Space group Pna2_1 (No. 33)
Inequivalent atoms, fractional coordinates:
Na (0.0659, 0.1302, 0.0000) [4 per cell]
Si (0.0130, 0.3712, 0.4920) [4 per cell]
P (0.1018, 0.4226, 0.1290) [4 per cell]
P (0.1403, 0.8371, 0.0536) [4 per cell]

=====

(2)
Structure and computed XRD peak list of Na3SnP3 (DFT lattice parameters and positions (PBE); Cu Kα, 1.54184 Å).

Largest 12 diffraction maxima, by intensity, 10° ≤ 2θ ≤ 90°:
- hkl 1 1 -1, d 5.361, I 100
- hkl 0 2 0, d 5.454, I 69
- hkl 1 1 -2, d 3.438, I 31
- hkl 0 0 1, d 7.551, I 29
- hkl 1 3 2, d 2.476, I 24
- hkl 4 2 0, d 2.127, I 24
- hkl 3 1 -1, d 2.856, I 23
- hkl 1 1 0, d 7.054, I 23
- hkl 0 2 1, d 4.421, I 21
- hkl 2 2 0, d 3.527, I 20
- hkl 1 1 3, d 2.315, I 19
- hkl 0 4 1, d 2.565, I 18

Cell and atoms:
a = 9.2951 Å, b = 10.9071 Å, c = 7.5879 Å
α = 90.00°, β = 95.68°, γ = 90.00°
Space group C2/m (No. 12)
Inequivalent atoms, fractional coordinates:
Na (0.0000, 0.1903, 0.0000) [4 per cell]
Na (0.0000, 0.2757, 0.5000) [4 per cell]
Na (0.1542, 0.5000, 0.8763) [4 per cell]
Sn (0.1655, 0.0000, 0.6106) [4 per cell]
P (0.0837, 0.0000, 0.2825) [4 per cell]
P (0.1331, 0.3885, 0.2184) [8 per cell]

=====

(3)
Structure and computed XRD peak list of NaSr4P (DFT lattice parameters and positions (PBE); Cu Kα, 1.54184 Å).

Largest 12 diffraction maxima, by intensity, 10° ≤ 2θ ≤ 90°:
- hkl 1 5 0, d 3.563, I 100
- hkl 1 1 2, d 3.413, I 76
- hkl 2 0 0, d 3.063, I 60
- hkl 0 6 2, d 2.751, I 38
- hkl 0 4 2, d 3.325, I 35
- hkl 1 3 2, d 3.123, I 33
- hkl 0 2 1, d 6.649, I 32
- hkl 2 6 2, d 2.047, I 31
- hkl 1 1 0, d 5.899, I 29
- hkl 2 4 2, d 2.253, I 23
- hkl 0 2 2, d 3.909, I 21
- hkl 1 5 1, d 3.278, I 20

Cell and atoms:
a = 6.1256 Å, b = 21.9035 Å, c = 8.3684 Å
α = 90.00°, β = 90.00°, γ = 90.00°
Space group Cmc2_1 (No. 36)
Inequivalent atoms, fractional coordinates:
Na (0.0000, 0.1157, 0.0000) [4 per cell]
Sr (0.0000, 0.0995, 0.4899) [4 per cell]
Sr (0.0000, 0.2967, 0.7697) [4 per cell]
Sr (0.0000, 0.3245, 0.2669) [4 per cell]
Sr (0.0000, 0.4854, 0.6952) [4 per cell]
P (0.0000, 0.4048, 0.9836) [4 per cell]

=====

(4)
Structure and computed XRD peak list of Na5SrTaP4 (DFT lattice parameters and positions (PBE); Cu Kα, 1.54184 Å).

Largest 12 diffraction maxima, by intensity, 10° ≤ 2θ ≤ 90°:
- hkl 1 1 -1, d 5.456, I 100
- hkl 0 2 0, d 8.080, I 94
- hkl 2 6 0, d 2.333, I 43
- hkl 3 1 1, d 2.818, I 43
- hkl 3 1 -1, d 2.827, I 39
- hkl 1 3 0, d 4.665, I 31
- hkl 2 2 2, d 2.721, I 20
- hkl 1 1 -3, d 2.359, I 17
- hkl 2 0 2, d 2.889, I 17
- hkl 0 2 3, d 2.353, I 15
- hkl 0 2 2, d 3.360, I 15
- hkl 2 4 0, d 3.054, I 14

Cell and atoms:
a = 9.3392 Å, b = 16.1519 Å, c = 7.3839 Å
α = 90.00°, β = 90.38°, γ = 90.00°
Space group Cc (No. 9)
Inequivalent atoms, fractional coordinates:
Na (0.0000, 0.0333, 0.0000) [4 per cell]
Na (0.0120, 0.3607, 0.3361) [4 per cell]
Na (0.2280, 0.4312, 0.8159) [4 per cell]
Na (0.2871, 0.0707, 0.3464) [4 per cell]
Na (0.3040, 0.2683, 0.5016) [4 per cell]
Sr (0.2080, 0.2350, 0.0070) [4 per cell]
Ta (0.0093, 0.1648, 0.6128) [4 per cell]
P (0.0041, 0.3070, 0.7180) [4 per cell]
P (0.0046, 0.1688, 0.2880) [4 per cell]
P (0.2187, 0.0963, 0.7246) [4 per cell]
P (0.2933, 0.4030, 0.2077) [4 per cell]

=====

(5)
Structure and computed XRD peak list of Na6TaP4 (DFT lattice parameters and positions (PBE); Cu Kα, 1.54184 Å).

Largest 12 diffraction maxima, by intensity, 10° ≤ 2θ ≤ 90°:
└──
# Job
Your job: echo every line further above that contains the word "NaSiP2".
# Outcome
Structure and computed XRD peak list of NaSiP2 (DFT lattice parameters and positions (PBE); Cu Kα, 1.54184 Å).